**Input**
┌──
BaS2 | GGA-PBE | optimized geometry

Lattice parameters (Å, degrees): 9.338 4.838 9.120 90.00 117.82 90.00
Space group C2/c (No. 15)
One atom of each set of equivalent atoms:
Ba 0.000 0.141 0.250
S 0.161 0.356 0.020

DFT formation energy: -5.26 eV per formula unit

BaS | GGA-PBE | optimized geometry

Lattice parameters (Å, degrees): 6.457 6.457 6.457 90.00 90.00 90.00
Space group Fm-3m (No. 225)
One atom of each set of equivalent atoms:
Ba 0.000 0.000 0.000
S 0.000 0.000 0.500

DFT formation energy: -4.66 eV per formula unit

BaSb2S4 | GGA-PBE | optimized geometry

Lattice parameters (Å, degrees): 9.053 8.381 20.890 90.00 100.32 90.00
Space group P2_1/c (No. 14)
One atom of each set of equivalent atoms:
Ba 0.017 0.052 0.297
Ba 0.482 0.546 0.195
Sb 0.073 0.699 0.969
Sb 0.202 0.518 0.623
Sb 0.343 0.008 0.885
Sb 0.353 0.156 0.502
S 0.003 0.164 0.151
S 0.131 0.005 0.573
S 0.155 0.152 0.964
S 0.241 0.671 0.727
S 0.267 0.154 0.783
S 0.277 0.554 0.915
S 0.426 0.157 0.152
S 0.466 0.711 0.565

DFT formation energy: -7.85 eV per formula unit

BaVSeS2 | GGA-PBE | optimized geometry

Lattice parameters (Å, degrees): 5.674 7.028 11.936 90.00 90.00 90.00
Space group Amm2 (No. 38)
One atom of each set of equivalent atoms:
Ba 0.000 0.000 0.000
Ba 0.500 0.000 0.337
V 0.223 0.000 0.675
Se 0.500 0.249 0.083
S 0.000 0.000 0.511
S 0.000 0.245 0.755
S 0.500 0.000 0.825

DFT formation energy: -7.43 eV per formula unit

BaVSe2S | GGA-PBE | optimized geometry

Lattice parameters (Å, degrees): 5.961 6.916 12.113 90.00 90.00 90.00
Space group Amm2 (No. 38)
One atom of each set of equivalent atoms:
Ba 0.000 0.000 0.000
Ba 0.500 0.000 0.331
V 0.245 0.000 0.673
Se 0.000 0.000 0.495
Se 0.500 0.000 0.835
Se 0.500 0.248 0.084
S 0.000 0.238 0.742

DFT formation energy: -6.72 eV per formula unit

Ba2SiS4 | GGA-PBE | optimized geometry

Lattice parameters (Å, degrees): 8.998 6.826 12.410 90.00 90.00 90.00
Space group Pnma (No. 62)
One atom of each set of equivalent atoms:
Ba 0.018 0.250 0.170
Ba 0.130 0.750 0.421
Si 0.231 0.750 0.076
S 0.004 0.250 0.907
S 0.176 0.505 0.646
S 0.190 0.250 0.413

DFT formation energy: -13.28 eV per formula unit

Ba3SnS4 | GGA-PBE | optimized geometry

Lattice parameters (Å, degrees): 6.333 6.333 6.333 90.00 90.00 90.00
Space group Pm-3m (No. 221)
One atom of each set of equivalent atoms:
Ba 0.000 0.000 0.500
Sn 0.500 0.500 0.500
S 0.000 0.000 0.000
S 0.000 0.500 0.500

DFT formation energy: -15.05 eV per formula unit

Ba3Sn2S7 | GGA-PBE | optimized geometry

Lattice parameters (Å, degrees): 11.257 6.891 19.010 90.00 100.66 90.00
Space group P2_1/c (No. 14)
One atom of each set of equivalent atoms:
Ba 0.013 0.219 0.109
Ba 0.243 0.224 0.835
Ba 0.443 0.233 0.611
Sn 0.225 0.700 0.196
Sn 0.294 0.703 0.504
S 0.048 0.558 0.231
S 0.175 0.580 0.068
S 0.182 0.098 0.989
S 0.251 0.044 0.193
S 0.267 0.681 0.883
S 0.403 0.528 0.247
S 0.498 0.725 0.560

DFT formation energy: -19.01 eV per formula unit

BaSn2S3 | GGA-PBE | optimized geometry

Lattice parameters (Å, degrees): 11.985 4.274 13.156 90.00 90.61 90.00
Space group Pm (No. 6)
One atom of each set of equivalent atoms:
Ba 0.000 0.000 0.000
Ba 0.002 0.000 0.663
Ba 0.515 0.000 0.786
Ba 0.996 0.000 0.332
Sn 0.243 0.500 0.938
Sn 0.251 0.500 0.269
Sn 0.253 0.500 0.598
Sn 0.485 0.000 0.443
Sn 0.488 0.000 0.109
Sn 0.737 0.500 0.184
Sn 0.738 0.500 0.514
Sn 0.748 0.500 0.847
S 0.241 0.000 0.813
S 0.252 0.000 0.467
S 0.262 0.000 0.139
S 0.453 0.500 0.972
S 0.457 0.500 0.305
S 0.457 0.500 0.620
S 0.731 0.000 0.973
S 0.734 0.000 0.312
S 0.736 0.000 0.644
S 0.952 0.500 0.163
S 0.953 0.500 0.497
S 0.955 0.500 0.831

DFT formation energy: -7.27 eV per formula unit

BaSn3S4 | GGA-PBE | optimized geometry

Lattice parameters (Å, degrees): 4.449 4.205 11.746 90.00 90.50 90.00
Space group Pm (No. 6)
One atom of each set of equivalent atoms:
Ba 0.000 0.000 0.000
Sn 0.215 0.500 0.746
Sn 0.452 0.500 0.267
Sn 0.731 0.000 0.493
S 0.064 0.000 0.270
S 0.099 0.500 0.535
S 0.503 0.500 0.049
S 0.591 0.000 0.738
└──
**Request**
Start at the top of the listing further up and restate each line, ending with the one that has "0.193".
**Result**
BaS2 | GGA-PBE | optimized geometry

Lattice parameters (Å, degrees): 9.338 4.838 9.120 90.00 117.82 90.00
Space group C2/c (No. 15)
One atom of each set of equivalent atoms:
Ba 0.000 0.141 0.250
S 0.161 0.356 0.020

DFT formation energy: -5.26 eV per formula unit

BaS | GGA-PBE | optimized geometry

Lattice parameters (Å, degrees): 6.457 6.457 6.457 90.00 90.00 90.00
Space group Fm-3m (No. 225)
One atom of each set of equivalent atoms:
Ba 0.000 0.000 0.000
S 0.000 0.000 0.500

DFT formation energy: -4.66 eV per formula unit

BaSb2S4 | GGA-PBE | optimized geometry

Lattice parameters (Å, degrees): 9.053 8.381 20.890 90.00 100.32 90.00
Space group P2_1/c (No. 14)
One atom of each set of equivalent atoms:
Ba 0.017 0.052 0.297
Ba 0.482 0.546 0.195
Sb 0.073 0.699 0.969
Sb 0.202 0.518 0.623
Sb 0.343 0.008 0.885
Sb 0.353 0.156 0.502
S 0.003 0.164 0.151
S 0.131 0.005 0.573
S 0.155 0.152 0.964
S 0.241 0.671 0.727
S 0.267 0.154 0.783
S 0.277 0.554 0.915
S 0.426 0.157 0.152
S 0.466 0.711 0.565

DFT formation energy: -7.85 eV per formula unit

BaVSeS2 | GGA-PBE | optimized geometry

Lattice parameters (Å, degrees): 5.674 7.028 11.936 90.00 90.00 90.00
Space group Amm2 (No. 38)
One atom of each set of equivalent atoms:
Ba 0.000 0.000 0.000
Ba 0.500 0.000 0.337
V 0.223 0.000 0.675
Se 0.500 0.249 0.083
S 0.000 0.000 0.511
S 0.000 0.245 0.755
S 0.500 0.000 0.825

DFT formation energy: -7.43 eV per formula unit

BaVSe2S | GGA-PBE | optimized geometry

Lattice parameters (Å, degrees): 5.961 6.916 12.113 90.00 90.00 90.00
Space group Amm2 (No. 38)
One atom of each set of equivalent atoms:
Ba 0.000 0.000 0.000
Ba 0.500 0.000 0.331
V 0.245 0.000 0.673
Se 0.000 0.000 0.495
Se 0.500 0.000 0.835
Se 0.500 0.248 0.084
S 0.000 0.238 0.742

DFT formation energy: -6.72 eV per formula unit

Ba2SiS4 | GGA-PBE | optimized geometry

Lattice parameters (Å, degrees): 8.998 6.826 12.410 90.00 90.00 90.00
Space group Pnma (No. 62)
One atom of each set of equivalent atoms:
Ba 0.018 0.250 0.170
Ba 0.130 0.750 0.421
Si 0.231 0.750 0.076
S 0.004 0.250 0.907
S 0.176 0.505 0.646
S 0.190 0.250 0.413

DFT formation energy: -13.28 eV per formula unit

Ba3SnS4 | GGA-PBE | optimized geometry

Lattice parameters (Å, degrees): 6.333 6.333 6.333 90.00 90.00 90.00
Space group Pm-3m (No. 221)
One atom of each set of equivalent atoms:
Ba 0.000 0.000 0.500
Sn 0.500 0.500 0.500
S 0.000 0.000 0.000
S 0.000 0.500 0.500

DFT formation energy: -15.05 eV per formula unit

Ba3Sn2S7 | GGA-PBE | optimized geometry

Lattice parameters (Å, degrees): 11.257 6.891 19.010 90.00 100.66 90.00
Space group P2_1/c (No. 14)
One atom of each set of equivalent atoms:
Ba 0.013 0.219 0.109
Ba 0.243 0.224 0.835
Ba 0.443 0.233 0.611
Sn 0.225 0.700 0.196
Sn 0.294 0.703 0.504
S 0.048 0.558 0.231
S 0.175 0.580 0.068
S 0.182 0.098 0.989
S 0.251 0.044 0.193